10 Amazing Songs That Don't Have A Chorus
Going Off the Grid.

The old saying of ‘don’t bore us get to the chorus’ is more than just industry talk most of the time. The chorus should be the one part of the song that ties everything together, hooking the listener in and being the main thing that they’ll be singing to themselves for the rest of the day after they hear your song. Not every hit song is built with that song structure in mind though.
Throughout every era of rock and roll, bands have always wanted to explore the perimeters of what constitutes a rock song, and every one of these tunes don’t have the verse-chorus structure that you would typically find in your average Top 40. Outside of just the weird sounds of these records, it’s hard to even keep track of what they’re doing half the time, going on long tangents or having guitar solos that go on in random parts of the track.
So much about these songs should not work, and yet they have all become some of the cornerstone tracks of their genre. Even with their strange construction, these are the tracks that have become modern classics, not fitting in the traditional rock mold but still rocking harder than most traditional rock bands could on their best day. You might not know where these songs are going, but you’re going to definitely be along for the ride regardless.
10. Thunder Road - Bruce Springsteen
For the first few years of his career, Bruce Springsteen made it his personal mission to run as far away from the Bob Dylan connections as he could. Much like Mr. Zimmerman, The Boss was known for making songs that were into telling a story, taking the old tropes of rock and roll and blending it with the down and out losers that he saw in the streets of New Jersey. Though these underdogs may have the odds stacked against them, Thunder Road was proof that escape wasn't impossible.
### Materials data that have nothing to do with the piece
┌──
Record 1
Density functional theory data (PBE) for PrAs2Au after structural relaxation.

Properties
- Total DFT energy (no corrections): -5.108 eV per atom
- SG: Pbcm, No. 57

Cell: 5.8478 5.9019 20.8389 Å, 90.00 90.00 90.00°
With the nearest neighbours (Å) after each atom.
Atoms (fractional coordinates):
As 0.7500 0.5149 0.3409  4 Au 2.80-2.81, 4 Pr 3.06
As 0.2500 0.4851 0.6591  4 Au 2.80-2.81, 4 Pr 3.06
As 0.0286 0.2228 0.5008  2 As 2.59-2.65
As 0.7500 0.9855 0.6604  4 Au 2.79-2.81, 4 Pr 3.04-3.09
As 0.7500 0.0145 0.1604  4 Au 2.79-2.81, 4 Pr 3.04-3.09
As 0.4714 0.7772 0.0008  2 As 2.59-2.65
As 0.4714 0.2228 0.5008  2 As 2.59-2.65
As 0.0286 0.7772 0.0008  2 As 2.59-2.65
As 0.2500 0.9855 0.8396  4 Au 2.79-2.81, 4 Pr 3.04-3.09
As 0.2500 0.5149 0.1591  4 Au 2.80-2.81, 4 Pr 3.06
As 0.5286 0.7772 0.4992  2 As 2.59-2.65
As 0.2500 0.0145 0.3396  4 Au 2.79-2.81, 4 Pr 3.04-3.09
As 0.9714 0.7772 0.4992  2 As 2.59-2.65
As 0.7500 0.4851 0.8409  4 Au 2.80-2.81, 4 Pr 3.06
As 0.5286 0.2228 0.9992  2 As 2.59-2.65
As 0.9714 0.2228 0.9992  2 As 2.59-2.65
Au 0.0000 0.2687 0.2500  4 As 2.80-2.81, 4 Au 2.92-2.97
Au 0.0000 0.2343 0.7500  4 As 2.79-2.81, 4 Au 2.92-2.97
Au 0.5000 0.2687 0.2500  4 As 2.80-2.81, 4 Au 2.92-2.97
Au 0.0000 0.7313 0.7500  4 As 2.80-2.81, 4 Au 2.92-2.97
Au 0.5000 0.2343 0.7500  4 As 2.79-2.81, 4 Au 2.92-2.97
Au 0.5000 0.7657 0.2500  4 As 2.79-2.81, 4 Au 2.92-2.97
Au 0.0000 0.7657 0.2500  4 As 2.79-2.81, 4 Au 2.92-2.97
Au 0.5000 0.7313 0.7500  4 As 2.80-2.81, 4 Au 2.92-2.97
Pr 0.2500 0.5143 0.3836  8 As 3.06-3.30
Pr 0.2500 0.9845 0.6204  8 As 3.04-3.25
Pr 0.2500 0.4857 0.8836  8 As 3.06-3.30
Pr 0.7500 0.9845 0.8796  8 As 3.04-3.25
Pr 0.7500 0.4857 0.6164  8 As 3.06-3.30
Pr 0.7500 0.5143 0.1164  8 As 3.06-3.30
Pr 0.2500 0.0155 0.1204  8 As 3.04-3.25
Pr 0.7500 0.0155 0.3796  8 As 3.04-3.25

***

Record 2
Density functional theory data (PBE) for K2SbF5 after structural relaxation.

Properties
- E (MP2020): -4.905 eV per atom
- SG: P2_1, No. 4

Cell: 6.6059 17.5282 29.0915 Å, 78.83 90.00 90.00°
With the nearest neighbours (Å) after each atom.
Atoms (fractional coordinates):
F 0.0166 0.9247 0.0108  1 Sb 2.33, 1 K 2.60
F 0.0214 0.6444 0.4025  1 Sb 2.12
F 0.7810 0.5947 0.9849  1 Sb 2.00
F 0.3968 0.9628 0.1055  1 Sb 2.19
F 0.4959 0.5520 0.6747  1 Sb 2.11
F 0.5628 0.1694 0.6600  1 Sb 2.16
F 0.5148 0.2359 0.3760  1 Sb 2.09
F 0.9885 0.3394 0.1077  1 Sb 2.11
F 0.4596 0.2894 0.4820  1 Sb 2.13
F 0.5298 0.8777 0.4645  1 Sb 2.10
F 0.0111 0.3998 0.7077  1 Sb 2.12
F 0.5286 0.7918 0.7477  1 Sb 2.13
F 0.9369 0.2648 0.3896  1 Sb 2.16
F 0.0286 0.2082 0.2523  1 Sb 2.13
F 0.7567 0.5110 0.2559  1 Sb 1.98
F 0.0298 0.1223 0.5355  1 Sb 2.10
F 0.5241 0.5311 0.0507  1 Sb 2.09
F 0.5484 0.1746 0.1623  1 Sb 2.13
F 0.5319 0.2518 0.8663  1 Sb 2.11
F 0.2266 0.7590 0.9178  1 Sb 1.99
F 0.7857 0.3281 0.8012  1 Sb 2.00
F 0.0161 0.5829 0.1671  1 Sb 2.10
F 0.0241 0.4689 0.9493  1 Sb 2.09
F 0.5153 0.6915 0.0108  1 Sb 2.11
F 0.8968 0.0372 0.8945  1 Sb 2.19
└──
Starting off with the sound of a screen door slamming and the harmonica setting things up, the structure of this song almost seems more like a rock and roll stage production playing out, with Bruce starting off playing over a piano as he talks about him and Mary finding out what life has in store for them past the state line. While this is the kind of spirit that would blow the doors down on Born to Run, this is the start of the story where you're going out on the town and seeing what life has in store, as the whole song builds to a climax going through every single verse.
By the time you reach the real hooks of the song, Bruce still has so much more to say, with the real chorus of the song being the final guitar melody that plays everything out, trading between the sounds of his Telecaster and Clarence blowing the hell out of his saxophone. Rock and roll may have been full of losers, but The Boss had his eyes on something bigger and was willing to move the Earth if it meant getting his hands on it.